Excusing disruption of Trump’s Chicago event is dangerous

One of the most difficult things in politics is to defend the rights of politicians you otherwise might not want to defend.

One of those cases was the defense of Sarah Palin against a vicious left-wing smear machine that targeted even her youngest child, who was mocked not only for having Down Syndrome but for not having been aborted. The sexist distortions and outright lies about Palin reached an apex when she was blamed by left-wing bloggers for the shooting of Gabby Giffords and murder of others by Jared Loughner. The excuse was that Palin allegedly used incendiary words and created a climate of fear; a national electoral map she used which had crosshairs over some districts was blamed directly.

In reality, Loughner was a psychotic person who, to the extent his politics were of this world, leaned left. There is no evidence Loughner ever saw the map in question. Loughner was held mentally unfit for trial. Yet Palin was blamed, and even some Republicans joined in the chorus.

I wrote at the time that the defense of Palin was not a defense of Palin the person or politician, but of the principle that if Republicans enabled such dishonest tactics against her, then no Republican politician was safe:

If Palin is taken down politically over the Tucson shooting, there is not a single Republican candidate who can survive the coming onslaught.

== Misplaced materials data ==
+++
Entry 1:
Density functional theory data (PBE-GGA) for crystalline EuDyCdHg at its relaxed geometry.

Cell and atoms, written as extended XYZ:
```
4
Lattice="-3.1357 -3.1121 3.0862 2.2273 -3.4273 3.5122 -0.3646 0.9495 5.2923" Properties=species:S:1:pos:R:3 pbc="T T T"
Eu -0.6365 -2.7949 5.9454
Cd -0.3183 -1.3975 2.9727
Hg -0.9548 -4.1924 8.9180
Dy 0.0000 0.0000 0.0000
```

Its calculated formation energy is -0.40 eV/atom.

Entry 2:
Density functional theory data (PBE-GGA) for crystalline BaPm2TiN4 at its relaxed geometry.

Cell and atoms, written as extended XYZ:
```
16
Lattice="3.6065 0.0000 0.0000 -1.8033 6.2952 0.0000 0.0000 0.0000 12.2257" Properties=species:S:1:pos:R:3 pbc="T T T"
Ba 0.0000 1.2401 9.1693
Ba 1.8033 5.0551 3.0564
Pm 0.0000 4.6593 6.5920
Pm 1.8033 1.6360 0.4791
Pm 1.8033 1.6360 5.6338
Pm 0.0000 4.6593 11.7466
Ti 1.8033 4.1269 9.1693
Ti 0.0000 2.1684 3.0564
N 0.0000 3.2315 1.4970
N 1.8033 3.0637 7.6099
N 1.8033 3.0637 10.7287
N 0.0000 3.2315 4.6159
N 0.0000 0.0000 6.1129
N 0.0000 0.0000 0.0000
N 0.0000 5.0652 9.1693
N 1.8033 1.2300 3.0564
```

The energy relative to the elements, uncorrected is -1.317 eV per atom.

For the records above, the corresponding spin magnetization values read 6.9; 0.0 μB per cell.
For the records above, the corresponding V values read 110.67; 277.57 Å³ per cell.

* * * * *

No. 1
{"formula": "Sm3Ge4", "functional": "PBE-GGA", "state": "optimized geometry", "lattice_angstrom": [[2.085, -5.458, 0.000], [2.085, 5.458, 0.000], [0.000, 0.000, 14.502]], "species": ["Sm", "Sm", "Sm", "Sm", "Sm", "Sm", "Ge", "Ge", "Ge", "Ge", "Ge", "Ge", "Ge", "Ge"], "frac_coords": [[0.038, 0.962, 0.750], [0.326, 0.674, 0.597], [0.326, 0.674, 0.903], [0.674, 0.326, 0.097], [0.674, 0.326, 0.403], [0.962, 0.038, 0.250], [0.000, 0.000, 0.000], [0.000, 0.000, 0.500], [0.236, 0.764, 0.250], [0.385, 0.615, 0.109], [0.385, 0.615, 0.391], [0.615, 0.385, 0.609], [0.615, 0.385, 0.891], [0.764, 0.236, 0.750]], "sg": "Cmcm"}



No. 2
{"formula": "Li2YZr", "functional": "PBE-GGA", "state": "optimized geometry", "lattice_angstrom": [[7.893, 0.000, 0.000], [0.000, 7.893, 0.000], [0.000, 0.000, 5.801]], "species": ["Li", "Li", "Li", "Li", "Li", "Li", "Li", "Li", "Y", "Y", "Y", "Y", "Zr", "Zr", "Zr", "Zr"], "frac_coords": [[0.242, 0.750, 0.125], [0.250, 0.242, 0.875], [0.250, 0.258, 0.375], [0.258, 0.750, 0.625], [0.742, 0.250, 0.625], [0.750, 0.742, 0.375], [0.750, 0.758, 0.875], [0.758, 0.250, 0.125], [0.000, 0.000, 0.500], [0.000, 0.500, 0.750], [0.500, 0.000, 0.250], [0.500, 0.500, 0.000], [0.000, 0.000, 0.000], [0.000, 0.500, 0.250], [0.500, 0.000, 0.750], [0.500, 0.500, 0.500]], "sg": "I-42d", "e_above_lowest_polymorph_mev_per_atom": 362}



No. 3
+++
== So much for the materials data ==

Friday night was another of those occasions, regarding the organized disruption of a Donald Trump event at the University of Illinois – Chicago.

The event devolved into mayhem and scuffles when a large number of pro-Bernie Sanders and other protesters entered the venue for the very purpose of disruption.  If you’ve seen the videos, you should agree that it probably was a smart decision to cancel the Chicago event.

MoveOn.org bragged afterwards about keeping Trump from speaking, and that it was proud of the result. I expect that many of the “protesters” were hardcore Occupy, anarchist and professional radical types who have a strong presence in Chicago.

Calculated crystals from another source follow.
(1)
! Hf4PdS, optimized geometry, DFT GGA-PBE; values from VASP
&SYSTEM
  ibrav = 0, nat = 6, ntyp = 3
/
ATOMIC_SPECIES
Hf 178.49 Hf.upf
Pd 106.42 Pd.upf
S 32.06 S.upf
CELL_PARAMETERS angstrom
6.762 -1.667 0.000
6.762 1.667 0.000
-2.535 0.000 5.394
ATOMIC_POSITIONS crystal
Hf 0.151 0.151 0.319
Hf 0.345 0.345 0.179
Hf 0.655 0.655 0.821
Hf 0.849 0.849 0.681
Pd 0.000 0.000 0.500
S 0.500 0.500 0.000
! **Energy relative to the elements, uncorrected**: -0.55 eV/atom

***

(2)
! Hf6PdS, optimized geometry, DFT GGA-PBE; values from VASP
&SYSTEM
  ibrav = 0, nat = 8, ntyp = 3
/
ATOMIC_SPECIES
Hf 178.49 Hf.upf
Pd 106.42 Pd.upf
S 32.06 S.upf
CELL_PARAMETERS angstrom
5.753 0.000 0.000
-0.141 6.053 0.000
-2.288 -2.473 5.049
ATOMIC_POSITIONS crystal
Hf 0.003 0.242 0.236
Hf 0.220 0.232 0.758
Hf 0.374 0.749 0.461
Hf 0.626 0.251 0.539
Hf 0.780 0.768 0.242
Hf 0.997 0.758 0.764
Pd 0.500 0.000 0.000
S 0.000 0.500 0.000
! **Energy relative to the elements, uncorrected**: -0.23 eV/atom

One person even tried to take over the podium before Trump took the stage. Taking over a political candidate’s podium is crossing a line — it’s a direct security threat and an act qualitatively different than mere protest outside or even in the audience. If you think things are bad now, just wait until some person insistent on stopping a candidate’s “hate” speech gets on stage with a weapon.

Another attempt was made to rush the podium while Trump was on stage today in Ohio. I would not be surprised to see more of that.

Many Republicans, unfortunately, have blamed Trump for the violence and conflict at the UI-Chicago venue because he has contributed to an atmosphere of confrontation. Yet the specific violence and suppression of speech Friday night was not caused by Trump, any more than the Gabby Giffords shooting was caused by Sarah Palin’s rhetoric or map.

Blurring Trump’s rhetoric and the specific disruption Friday night is misguided. There should have been an unequivocal condemnation of the line that was crossed, both because it’s dangerous and because it’s likely to be crossed against other Republican candidates on a variety of issues.

Shout-downs and disruptions of non-leftist speech have become common on campuses. Remember, Chicago is one of the places where they tried to ban Chick-fil-A because it allegedly spread hate. So it doesn’t take much for leftists to shout about “hate” and to use that as an excuse to suppress the rights of others.

Disruption of opposing speech is THE preferred tactic among campus leftists. If you think the disruption of Trump’s event was about Trump, then you haven’t paid attention to what is going on on campuses.

-- Unrelated to this text: materials data --
## TiNbV2Cr (PBE)

Data for TiNbV2Cr after structural relaxation.

E_tot = -7.456 eV per atom
Density of states at the Fermi level = 9.2 states/eV per cell

a = 4.492 Å, b = 4.689 Å, c = 4.492 Å
α = 90.00°, β = 90.00°, γ = 90.00°
Fractional positions:
Cr (0.500, 0.500, 0.500)
Nb (0.000, 0.000, 0.000)
Ti (0.000, 0.500, 0.000)
V (0.000, 0.000, 0.500)
V (0.500, 0.000, 0.000)

## Fe2CoP (PBE)

Data for Fe2CoP after structural relaxation.

E_tot = -7.456 eV per atom
Density of states at the Fermi level = 4.3 states/eV per cell

a = 3.600 Å, b = 2.592 Å, c = 5.003 Å
α = 70.27°, β = 90.00°, γ = 90.00°
Fractional positions:
Co (0.500, 0.750, 0.750)
Fe (0.000, 0.074, 0.010)
Fe (0.000, 0.426, 0.490)
P (0.500, 0.250, 0.250)

## NdTm7Cd4 (PBE)

Data for NdTm7Cd4 after structural relaxation.

E_tot = -3.285 eV per atom
Density of states at the Fermi level = 13.4 states/eV per cell

a = 5.661 Å, b = 8.926 Å, c = 7.817 Å
α = 69.80°, β = 68.77°, γ = 71.51°
Fractional positions:
Nd (0.000, 0.000, 0.000)
Tm (0.794, 0.880, 0.533)
Tm (0.206, 0.120, 0.467)
Tm (0.073, 0.585, 0.270)
Tm (0.927, 0.415, 0.730)
Tm (0.263, 0.693, 0.782)
Tm (0.500, 0.000, 0.000)
Tm (0.737, 0.307, 0.218)
Cd (0.542, 0.289, 0.628)
Cd (0.458, 0.711, 0.372)
Cd (0.682, 0.660, 0.976)
Cd (0.318, 0.340, 0.024)

## GeHSe2 (PBE)

Data for GeHSe2 after structural relaxation.

E_tot = -3.726 eV per atom
Density of states at the Fermi level = 1.9 states/eV per cell
Distance to the lowest polymorph of the same formula = 0.115 eV per atom

a = 6.839 Å, b = 6.839 Å, c = 6.839 Å
α = 33.39°, β = 33.39°, γ = 33.39°
Fractional positions:
H (0.000, 0.000, 0.000)
Ge (0.500, 0.500, 0.500)
Se (0.909, 0.909, 0.909)
Se (0.091, 0.091, 0.091)

## BaSrI4 (PBE)

Data for BaSrI4 after structural relaxation.

E_tot = -3.355 eV per atom
Formation energy without anion corrections = -1.72 eV/atom
Density of states at the Fermi level = 0.0 states/eV per cell

a = 8.343 Å, b = 7.652 Å, c = 19.764 Å
α = 90.00°, β = 90.00°, γ = 90.00°
Fractional positions:
Ba (0.250, 0.000, 0.177)
Ba (0.750, 0.000, 0.823)
Ba (0.250, 0.500, 0.677)
Ba (0.750, 0.500, 0.323)
Sr (0.250, 0.000, 0.434)
Sr (0.750, 0.000, 0.566)
Sr (0.750, 0.500, 0.066)
Sr (0.250, 0.500, 0.934)
I (0.096, 0.240, 0.312)
I (0.596, 0.240, 0.688)
I (0.073, 0.256, 0.051)
I (0.573, 0.256, 0.949)
I (0.573, 0.244, 0.449)
I (0.073, 0.244, 0.551)
I (0.596, 0.260, 0.188)
I (0.096, 0.260, 0.812)
I (0.904, 0.740, 0.188)
I (0.404, 0.740, 0.812)
I (0.927, 0.756, 0.449)
I (0.427, 0.756, 0.551)
I (0.427, 0.744, 0.051)
I (0.927, 0.744, 0.949)
I (0.904, 0.760, 0.688)
I (0.404, 0.760, 0.312)

## TbThNi2As2 (PBE)

Data for TbThNi2As2 after structural relaxation.

E_tot = -6.558 eV per atom
Density of states at the Fermi level = 2.7 states/eV per cell

a = 4.078 Å, b = 4.078 Å, c = 7.986 Å
α = 90.00°, β = 90.00°, γ = 120.00°
Fractional positions:
Tb (0.000, 0.000, 0.500)
Th (0.000, 0.000, 0.000)
Ni (0.667, 0.333, 0.236)
Ni (0.333, 0.667, 0.764)
As (0.667, 0.333, 0.734)
As (0.333, 0.667, 0.266)
-- So much for the materials data --

If Donald Trump is not the nominee, there still will be disruptions of the Republican nominee. Because that has proven to be a successful tactic, one partially enabled by Republicans who — out of hate for Trump — are willing to look the other way.

Tags: Chicago, Donald Trump, OccupyWallStreet